Brief:
Next, transcribe the whole of the contents further down without additions.

Entries:
┌──
A plane-wave DFT calculation with PBE with a Hubbard U was carried out for a relaxed NaMn2O4 crystal.

Output
- Excess energy over the best structure of this formula in the dataset: 96.9 meV/atom
- E_tot: -6.649 eV/atom

POSCAR file:
```
NaMn2O4
1.0
-5.437 2.475 -0.851
-3.987 -6.630 6.190
1.590 6.087 7.543
O Mn Na
32 16 8
Direct
0.125 0.016 0.896
0.625 0.016 0.896
0.125 0.184 0.250
0.868 0.250 0.000
0.375 0.684 0.250
0.375 0.816 0.750
0.875 0.984 0.104
0.375 0.516 0.604
0.625 0.016 0.604
0.875 0.684 0.250
0.875 0.816 0.750
0.625 0.184 0.250
0.625 0.484 0.396
0.132 0.750 0.500
0.632 0.750 0.500
0.125 0.484 0.104
0.368 0.250 0.000
0.625 0.484 0.104
0.125 0.484 0.396
0.125 0.316 0.750
0.632 0.750 0.000
0.875 0.516 0.896
0.368 0.250 0.500
0.132 0.750 0.000
0.625 0.316 0.750
0.875 0.516 0.604
0.375 0.516 0.896
0.875 0.984 0.396
0.868 0.250 0.500
0.375 0.984 0.396
0.375 0.984 0.104
0.125 0.016 0.604
0.123 0.113 0.072
0.623 0.113 0.072
0.877 0.613 0.072
0.377 0.613 0.428
0.877 0.887 0.572
0.377 0.887 0.572
0.877 0.613 0.428
0.877 0.887 0.928
0.123 0.387 0.928
0.623 0.387 0.572
0.623 0.387 0.928
0.377 0.613 0.072
0.377 0.887 0.928
0.623 0.113 0.428
0.123 0.113 0.428
0.123 0.387 0.572
0.125 0.645 0.750
0.125 0.855 0.250
0.625 0.855 0.250
0.625 0.645 0.750
0.375 0.355 0.250
0.375 0.145 0.750
0.875 0.355 0.250
0.875 0.145 0.750
```


A plane-wave DFT calculation with PBE with a Hubbard U was carried out for a relaxed NaMnO4 crystal.

Output
- Excess energy over the best structure of this formula in the dataset: 4.5 meV/atom
- E_tot: -5.693 eV/atom

POSCAR file:
```
NaMnO4
1.0
5.735 0.000 0.000
0.000 8.495 0.000
-5.469 0.000 7.217
Na Mn O
4 4 16
Direct
0.087 0.033 0.336
0.087 0.467 0.836
0.913 0.533 0.164
0.913 0.967 0.664
0.406 0.688 0.662
0.406 0.812 0.162
0.594 0.188 0.838
0.594 0.312 0.338
0.211 0.653 0.092
0.211 0.847 0.592
0.245 0.559 0.498
0.245 0.941 0.998
0.274 0.224 0.784
0.274 0.276 0.284
0.440 0.619 0.842
0.440 0.881 0.342
0.560 0.119 0.658
0.560 0.381 0.158
0.726 0.724 0.716
0.726 0.776 0.216
0.755 0.059 0.002
0.755 0.441 0.502
0.789 0.153 0.408
0.789 0.347 0.908
```


A plane-wave DFT calculation with PBE with a Hubbard U was carried out for a relaxed Na11Mn13O32 crystal.

Output
- Excess energy over the best structure of this formula in the dataset: 3.3 meV/atom
- E_tot: -6.297 eV/atom

POSCAR file:
```
Na11Mn13O32
1.0
5.990 0.000 0.000
2.991 5.433 0.000
2.989 -0.708 20.286
Na Mn O
11 13 32
Direct
0.000 0.000 0.000
0.007 0.475 0.512
0.195 0.385 0.223
0.384 0.296 0.933
0.393 0.769 0.446
0.448 0.506 0.597
0.500 0.746 0.255
0.508 0.233 0.749
0.882 0.540 0.696
0.893 0.023 0.191
0.940 0.266 0.849
0.195 0.886 0.723
0.440 0.261 0.355
0.442 0.768 0.846
0.447 0.004 0.599
0.448 0.014 0.090
0.448 0.508 0.090
0.686 0.658 0.968
0.705 0.113 0.477
0.943 0.767 0.846
0.945 0.755 0.355
0.946 0.260 0.355
0.949 0.005 0.599
0.954 0.508 0.090
0.000 0.525 0.914
0.025 0.962 0.409
0.068 0.758 0.663
0.081 0.435 0.404
0.098 0.151 0.654
0.101 0.204 0.136
0.102 0.900 0.894
0.107 0.648 0.137
0.286 0.120 0.308
0.288 0.871 0.552
0.290 0.565 0.309
0.293 0.622 0.791
0.313 0.333 0.041
0.322 0.015 0.783
0.368 0.808 0.037
0.391 0.244 0.531
0.510 0.758 0.663
0.557 0.527 0.914
0.558 0.204 0.136
0.589 0.682 0.140
0.593 0.913 0.901
0.604 0.146 0.644
0.605 0.962 0.409
0.607 0.374 0.412
0.785 0.395 0.033
0.785 0.625 0.801
0.787 0.808 0.037
0.800 0.858 0.545
0.803 0.087 0.305
0.832 0.246 0.532
0.835 0.565 0.309
0.879 0.015 0.783
```


A plane-wave DFT calculation with PBE with a Hubbard U was carried out for a relaxed NaMn7O12 crystal.

Output
- E_tot: -7.195 eV/atom

POSCAR file:
```
NaMn7O12
1.0
-3.723 3.723 3.723
3.723 -3.723 3.723
3.723 3.723 -3.723
Na Mn O
1 7 12
Direct
0.000 0.000 0.000
0.000 0.000 0.500
0.000 0.500 0.000
0.000 0.500 0.500
0.500 0.000 0.000
0.500 0.000 0.500
0.500 0.500 0.000
0.500 0.500 0.500
0.129 0.314 0.815
0.185 0.499 0.314
0.185 0.871 0.686
0.314 0.185 0.499
0.314 0.815 0.129
0.499 0.314 0.185
0.501 0.686 0.815
0.686 0.185 0.871
└──

Done:
A plane-wave DFT calculation with PBE with a Hubbard U was carried out for a relaxed NaMn2O4 crystal.

Output
- Excess energy over the best structure of this formula in the dataset: 96.9 meV/atom
- E_tot: -6.649 eV/atom

POSCAR file:
```
NaMn2O4
1.0
-5.437 2.475 -0.851
-3.987 -6.630 6.190
1.590 6.087 7.543
O Mn Na
32 16 8
Direct
0.125 0.016 0.896
0.625 0.016 0.896
0.125 0.184 0.250
0.868 0.250 0.000
0.375 0.684 0.250
0.375 0.816 0.750
0.875 0.984 0.104
0.375 0.516 0.604
0.625 0.016 0.604
0.875 0.684 0.250
0.875 0.816 0.750
0.625 0.184 0.250
0.625 0.484 0.396
0.132 0.750 0.500
0.632 0.750 0.500
0.125 0.484 0.104
0.368 0.250 0.000
0.625 0.484 0.104
0.125 0.484 0.396
0.125 0.316 0.750
0.632 0.750 0.000
0.875 0.516 0.896
0.368 0.250 0.500
0.132 0.750 0.000
0.625 0.316 0.750
0.875 0.516 0.604
0.375 0.516 0.896
0.875 0.984 0.396
0.868 0.250 0.500
0.375 0.984 0.396
0.375 0.984 0.104
0.125 0.016 0.604
0.123 0.113 0.072
0.623 0.113 0.072
0.877 0.613 0.072
0.377 0.613 0.428
0.877 0.887 0.572
0.377 0.887 0.572
0.877 0.613 0.428
0.877 0.887 0.928
0.123 0.387 0.928
0.623 0.387 0.572
0.623 0.387 0.928
0.377 0.613 0.072
0.377 0.887 0.928
0.623 0.113 0.428
0.123 0.113 0.428
0.123 0.387 0.572
0.125 0.645 0.750
0.125 0.855 0.250
0.625 0.855 0.250
0.625 0.645 0.750
0.375 0.355 0.250
0.375 0.145 0.750
0.875 0.355 0.250
0.875 0.145 0.750
```


A plane-wave DFT calculation with PBE with a Hubbard U was carried out for a relaxed NaMnO4 crystal.

Output
- Excess energy over the best structure of this formula in the dataset: 4.5 meV/atom
- E_tot: -5.693 eV/atom

POSCAR file:
```
NaMnO4
1.0
5.735 0.000 0.000
0.000 8.495 0.000
-5.469 0.000 7.217
Na Mn O
4 4 16
Direct
0.087 0.033 0.336
0.087 0.467 0.836
0.913 0.533 0.164
0.913 0.967 0.664
0.406 0.688 0.662
0.406 0.812 0.162
0.594 0.188 0.838
0.594 0.312 0.338
0.211 0.653 0.092
0.211 0.847 0.592
0.245 0.559 0.498
0.245 0.941 0.998
0.274 0.224 0.784
0.274 0.276 0.284
0.440 0.619 0.842
0.440 0.881 0.342
0.560 0.119 0.658
0.560 0.381 0.158
0.726 0.724 0.716
0.726 0.776 0.216
0.755 0.059 0.002
0.755 0.441 0.502
0.789 0.153 0.408
0.789 0.347 0.908
```


A plane-wave DFT calculation with PBE with a Hubbard U was carried out for a relaxed Na11Mn13O32 crystal.

Output
- Excess energy over the best structure of this formula in the dataset: 3.3 meV/atom
- E_tot: -6.297 eV/atom

POSCAR file:
```
Na11Mn13O32
1.0
5.990 0.000 0.000
2.991 5.433 0.000
2.989 -0.708 20.286
Na Mn O
11 13 32
Direct
0.000 0.000 0.000
0.007 0.475 0.512
0.195 0.385 0.223
0.384 0.296 0.933
0.393 0.769 0.446
0.448 0.506 0.597
0.500 0.746 0.255
0.508 0.233 0.749
0.882 0.540 0.696
0.893 0.023 0.191
0.940 0.266 0.849
0.195 0.886 0.723
0.440 0.261 0.355
0.442 0.768 0.846
0.447 0.004 0.599
0.448 0.014 0.090
0.448 0.508 0.090
0.686 0.658 0.968
0.705 0.113 0.477
0.943 0.767 0.846
0.945 0.755 0.355
0.946 0.260 0.355
0.949 0.005 0.599
0.954 0.508 0.090
0.000 0.525 0.914
0.025 0.962 0.409
0.068 0.758 0.663
0.081 0.435 0.404
0.098 0.151 0.654
0.101 0.204 0.136
0.102 0.900 0.894
0.107 0.648 0.137
0.286 0.120 0.308
0.288 0.871 0.552
0.290 0.565 0.309
0.293 0.622 0.791
0.313 0.333 0.041
0.322 0.015 0.783
0.368 0.808 0.037
0.391 0.244 0.531
0.510 0.758 0.663
0.557 0.527 0.914
0.558 0.204 0.136
0.589 0.682 0.140
0.593 0.913 0.901
0.604 0.146 0.644
0.605 0.962 0.409
0.607 0.374 0.412
0.785 0.395 0.033
0.785 0.625 0.801
0.787 0.808 0.037
0.800 0.858 0.545
0.803 0.087 0.305
0.832 0.246 0.532
0.835 0.565 0.309
0.879 0.015 0.783
```


A plane-wave DFT calculation with PBE with a Hubbard U was carried out for a relaxed NaMn7O12 crystal.

Output
- E_tot: -7.195 eV/atom

POSCAR file:
```
NaMn7O12
1.0
-3.723 3.723 3.723
3.723 -3.723 3.723
3.723 3.723 -3.723
Na Mn O
1 7 12
Direct
0.000 0.000 0.000
0.000 0.000 0.500
0.000 0.500 0.000
0.000 0.500 0.500
0.500 0.000 0.000
0.500 0.000 0.500
0.500 0.500 0.000
0.500 0.500 0.500
0.129 0.314 0.815
0.185 0.499 0.314
0.185 0.871 0.686
0.314 0.185 0.499
0.314 0.815 0.129
0.499 0.314 0.185
0.501 0.686 0.815
0.686 0.185 0.871